**Input:**
<<<
# 1
Entry from the OMol25 dataset: 16 unconnected molecules or ions with the total composition C88H202B5F20N11O2 (ωB97M-V with the def2-TZVPD basis set).

Geometry as XYZ:
```
328
Properties=species:S:1:pos:R:3:lowdin_charge:R:1
C 6.958 4.592 1.188 -0.086
C 7.424 3.288 1.711 -0.269
C 7.341 2.196 0.728 -0.119
N 7.484 0.787 1.318 -0.239
C 6.095 0.517 1.712 -0.016
C 8.409 0.711 2.543 -0.058
C 9.756 0.513 1.836 -0.115
C 9.472 -0.126 0.476 -0.167
C 8.000 -0.226 0.297 -0.097
H 7.627 4.943 0.423 0.087
H 6.903 5.393 1.919 0.090
H 5.963 4.569 0.744 0.074
H 6.843 3.070 2.613 0.120
H 8.450 3.394 2.105 0.131
H 8.093 2.280 -0.058 0.151
H 6.368 2.265 0.275 0.129
H 5.609 1.287 2.285 0.109
H 5.997 -0.401 2.270 0.105
H 5.592 0.353 0.770 0.098
H 8.106 -0.127 3.179 0.144
H 8.413 1.606 3.112 0.105
H 10.434 -0.054 2.485 0.133
H 10.221 1.494 1.612 0.130
H 9.956 -1.108 0.243 0.142
H 9.862 0.425 -0.395 0.122
H 7.612 -1.187 0.669 0.144
H 7.673 -0.084 -0.727 0.138
C -3.866 3.693 5.950 -0.070
C -3.246 3.642 7.352 -0.220
C -1.758 3.600 7.296 -0.115
N -1.014 3.349 8.634 -0.273
C -1.374 2.017 9.112 0.021
C -1.196 4.353 9.752 -0.063
C 0.094 4.215 10.604 -0.134
C 1.103 3.532 9.753 -0.152
C 0.498 3.450 8.358 -0.071
H -4.944 3.754 5.920 0.075
H -3.547 2.860 5.362 0.049
H -3.478 4.562 5.458 0.071
H -3.616 2.766 7.893 0.073
H -3.553 4.496 8.002 0.136
H -1.271 4.533 6.971 0.139
H -1.401 2.806 6.604 0.129
H -1.321 1.299 8.268 0.121
H -2.410 2.106 9.456 0.105
H -0.710 1.790 9.946 0.112
H -2.113 4.114 10.301 0.142
H -1.265 5.336 9.353 0.128
H -0.126 3.641 11.481 0.117
H 0.424 5.164 10.976 0.123
H 1.244 2.502 10.137 0.126
H 2.083 3.969 9.648 0.125
H 0.774 2.588 7.725 0.142
H 0.574 4.329 7.765 0.119
C 6.418 -2.383 -8.087 -0.069
C 6.646 -2.461 -6.543 -0.196
C 5.382 -2.116 -5.740 -0.137
N 5.277 -2.724 -4.402 -0.300
C 6.512 -2.475 -3.620 0.027
C 5.050 -4.203 -4.581 -0.075
C 3.559 -4.255 -4.990 -0.135
C 2.877 -3.136 -4.209 -0.130
C 4.039 -2.294 -3.648 -0.079
H 7.391 -2.380 -8.607 0.091
H 5.952 -1.426 -8.385 0.084
H 5.838 -3.186 -8.508 0.070
H 7.294 -1.654 -6.380 0.094
H 7.013 -3.442 -6.256 0.104
H 4.420 -2.338 -6.254 0.140
H 5.335 -1.044 -5.491 0.142
H 6.458 -2.949 -2.621 0.122
H 6.724 -1.402 -3.621 0.116
H 7.279 -2.988 -4.241 0.111
H 5.222 -4.720 -3.590 0.155
H 5.675 -4.734 -5.299 0.136
H 3.115 -5.167 -4.682 0.063
H 3.313 -4.132 -6.082 0.143
H 2.326 -3.479 -3.352 0.088
H 2.221 -2.496 -4.840 0.122
H 4.201 -2.610 -2.602 0.103
H 3.896 -1.246 -3.578 0.131
C -8.866 8.343 -1.557 -0.070
C -8.365 6.889 -1.342 -0.240
C -9.466 5.892 -1.638 -0.130
N -9.083 4.414 -1.586 -0.280
C -8.345 4.023 -2.874 0.039
C -10.339 3.555 -1.555 -0.061
C -9.787 2.214 -0.979 -0.124
C -8.505 2.528 -0.182 -0.135
C -8.271 4.003 -0.385 -0.124
H -7.960 8.945 -1.373 0.090
H -9.772 8.572 -0.962 0.096
H -9.237 8.495 -2.558 0.073
H -7.908 6.763 -0.361 0.105
H -7.523 6.656 -2.013 0.110
H -9.975 6.042 -2.631 0.161
H -10.248 5.911 -0.837 0.146
H -8.246 2.900 -2.914 0.125
H -7.333 4.441 -2.808 0.107
H -8.913 4.312 -3.747 0.108
H -10.616 3.580 -2.620 0.138
H -11.128 4.027 -0.968 0.138
H -9.643 1.551 -1.816 0.108
H -10.468 1.697 -0.376 0.098
H -7.633 1.892 -0.537 0.132
H -8.605 2.313 0.900 0.122
H -7.243 4.235 -0.539 0.119
H -8.526 4.649 0.468 0.144
C 2.126 -2.719 8.530 -0.050
C 1.545 -2.742 7.050 -0.198
C 2.635 -3.274 6.142 -0.161
N 2.312 -3.210 4.703 -0.222
C 2.498 -1.815 4.194 0.015
C 0.840 -3.615 4.358 -0.051
C 1.046 -4.346 3.082 -0.177
C 2.297 -5.113 3.262 -0.148
C 3.273 -4.132 3.904 -0.056
H 2.466 -3.701 8.902 0.092
H 1.338 -2.488 9.215 0.063
H 2.887 -1.961 8.543 0.068
H 1.253 -1.739 6.735 0.098
H 0.748 -3.437 6.988 0.090
H 2.795 -4.310 6.393 0.141
H 3.494 -2.688 6.406 0.132
H 3.513 -1.451 4.330 0.117
H 1.788 -1.233 4.764 0.081
H 2.157 -1.740 3.164 0.077
H 0.272 -2.694 4.400 0.116
H 0.529 -4.289 5.151 0.133
H 1.166 -3.633 2.261 0.103
H 0.148 -4.901 2.780 0.137
H 2.670 -5.500 2.322 0.108
H 2.203 -6.016 3.882 0.134
H 3.784 -3.474 3.140 0.126
H 4.035 -4.602 4.522 0.133
C 4.318 10.178 -3.492 -0.100
>>>
**Exercise:**
Next, start at the top of the calculation results above and echo each line, ending with the one that has "6.843 3.070".
**Result:**
# 1
Entry from the OMol25 dataset: 16 unconnected molecules or ions with the total composition C88H202B5F20N11O2 (ωB97M-V with the def2-TZVPD basis set).

Geometry as XYZ:
```
328
Properties=species:S:1:pos:R:3:lowdin_charge:R:1
C 6.958 4.592 1.188 -0.086
C 7.424 3.288 1.711 -0.269
C 7.341 2.196 0.728 -0.119
N 7.484 0.787 1.318 -0.239
C 6.095 0.517 1.712 -0.016
C 8.409 0.711 2.543 -0.058
C 9.756 0.513 1.836 -0.115
C 9.472 -0.126 0.476 -0.167
C 8.000 -0.226 0.297 -0.097
H 7.627 4.943 0.423 0.087
H 6.903 5.393 1.919 0.090
H 5.963 4.569 0.744 0.074
H 6.843 3.070 2.613 0.120